## Work order
Please repeat the rows underneath with every line break kept.
## Contents
~~~
Computed, not measured: crystalline InNi2Ag2 at its relaxed geometry at the GGA-PBE level of DFT.

Computed properties:
VASP energy, eV per atom: -3.665
Formation energy, kJ/mol of atoms: 32
Total moment, μB per cell: 2.10
D(E_F), states/eV/atom: 1.31

CIF file:
```
data_InNi2Ag2
_cell_length_a 3.296
_cell_length_b 3.296
_cell_length_c 16.207
_cell_angle_alpha 90.00
_cell_angle_beta 90.00
_cell_angle_gamma 90.00
_space_group_name_H-M_alt 'I 4/m m m'
_space_group_IT_number 139
_space_group_name_Hall '-I 4 2'
loop_
_atom_site_label
_atom_site_fract_x
_atom_site_fract_y
_atom_site_fract_z
_atom_site_occupancy
In1 0.000 0.000 0.000 1
Ni1 0.000 0.500 0.250 1
Ag1 0.000 0.000 0.383 1
```

***

Computed, not measured: crystalline InNi2Ag at its relaxed geometry at the GGA-PBE level of DFT.

Computed properties:
VASP energy, eV per atom: -4.035
Formation energy, kJ/mol of atoms: 24
Total moment, μB per cell: 0.00
D(E_F), states/eV/atom: 0.75

CIF file:
```
data_InNi2Ag
_cell_length_a 2.9314
_cell_length_b 2.9314
_cell_length_c 25.0836
_cell_angle_alpha 90.00
_cell_angle_beta 90.00
_cell_angle_gamma 120.00
_space_group_name_H-M_alt 'R -3 m'
_space_group_IT_number 166
_space_group_name_Hall '-R 3 2"'
loop_
_atom_site_label
_atom_site_fract_x
_atom_site_fract_y
_atom_site_fract_z
_atom_site_occupancy
In1 0.0000 0.0000 0.0000 1
Ni1 0.0000 0.0000 0.2512 1
Ag1 0.0000 0.0000 0.5000 1
```

***

Computed, not measured: crystalline InNiAg2 at its relaxed geometry at the GGA-PBE level of DFT.

Computed properties:
VASP energy, eV per atom: -3.502
Formation energy, kJ/mol of atoms: 5
Total moment, μB per cell: 0.00
D(E_F), states/eV/atom: 0.40

CIF file:
```
data_InNiAg2
_cell_length_a 3.060
_cell_length_b 3.115
_cell_length_c 7.178
_cell_angle_alpha 90.00
_cell_angle_beta 90.24
_cell_angle_gamma 90.00
_space_group_name_H-M_alt 'P 1 m 1'
_space_group_IT_number 6
_space_group_name_Hall 'P -2y'
loop_
_atom_site_label
_atom_site_fract_x
_atom_site_fract_y
_atom_site_fract_z
_atom_site_occupancy
In1 0.000 0.000 0.000 1
Ni1 0.499 0.500 0.786 1
Ag1 0.498 0.500 0.292 1
Ag2 0.999 0.000 0.559 1
```

***

Computed, not measured: crystalline InNi2Ag2 at its relaxed geometry at the GGA-PBE level of DFT.

Computed properties:
VASP energy, eV per atom: -3.692
Formation energy, kJ/mol of atoms: 30
Total moment, μB per cell: 0.00
D(E_F), states/eV/atom: 0.55

CIF file:
```
data_InNi2Ag2
_cell_length_a 3.786
_cell_length_b 3.786
_cell_length_c 12.012
_cell_angle_alpha 90.00
_cell_angle_beta 90.00
_cell_angle_gamma 90.00
_space_group_name_H-M_alt 'I 4/m m m'
_space_group_IT_number 139
_space_group_name_Hall '-I 4 2'
loop_
_atom_site_label
_atom_site_fract_x
_atom_site_fract_y
_atom_site_fract_z
_atom_site_occupancy
In1 0.000 0.000 0.000 1
Ni1 0.000 0.000 0.405 1
Ag1 0.000 0.500 0.250 1
```

***

Computed, not measured: crystalline InNiAg2 at its relaxed geometry at the GGA-PBE level of DFT.

Computed properties:
VASP energy, eV per atom: -3.431
Formation energy, kJ/mol of atoms: 12
Total moment, μB per cell: 0.00
D(E_F), states/eV/atom: 0.55

CIF file:
```
data_InNiAg2
_cell_length_a 2.968
_cell_length_b 4.877
_cell_length_c 4.806
_cell_angle_alpha 90.00
_cell_angle_beta 92.86
_cell_angle_gamma 90.00
_space_group_name_H-M_alt 'P 1 2/m 1'
_space_group_IT_number 10
_space_group_name_Hall '-P 2y'
loop_
_atom_site_label
_atom_site_fract_x
_atom_site_fract_y
_atom_site_fract_z
_atom_site_occupancy
In1 0.000 0.000 0.000 1
Ni1 0.500 0.000 0.500 1
Ag1 0.260 0.500 0.742 1
```

***

Computed, not measured: crystalline InNi2Ag2 at its relaxed geometry at the GGA-PBE level of DFT.

Computed properties:
VASP energy, eV per atom: -3.873
Formation energy, kJ/mol of atoms: 12
Total moment, μB per cell: 0.00
D(E_F), states/eV/atom: 0.49

CIF file:
```
data_InNi2Ag2
_cell_length_a 6.471
_cell_length_b 6.471
_cell_length_c 3.933
_cell_angle_alpha 90.00
_cell_angle_beta 90.00
_cell_angle_gamma 90.00
_space_group_name_H-M_alt 'P 4/m b m'
_space_group_IT_number 127
~~~
## Reply
Computed, not measured: crystalline InNi2Ag2 at its relaxed geometry at the GGA-PBE level of DFT.

Computed properties:
VASP energy, eV per atom: -3.665
Formation energy, kJ/mol of atoms: 32
Total moment, μB per cell: 2.10
D(E_F), states/eV/atom: 1.31

CIF file:
```
data_InNi2Ag2
_cell_length_a 3.296
_cell_length_b 3.296
_cell_length_c 16.207
_cell_angle_alpha 90.00
_cell_angle_beta 90.00
_cell_angle_gamma 90.00
_space_group_name_H-M_alt 'I 4/m m m'
_space_group_IT_number 139
_space_group_name_Hall '-I 4 2'
loop_
_atom_site_label
_atom_site_fract_x
_atom_site_fract_y
_atom_site_fract_z
_atom_site_occupancy
In1 0.000 0.000 0.000 1
Ni1 0.000 0.500 0.250 1
Ag1 0.000 0.000 0.383 1
```

***

Computed, not measured: crystalline InNi2Ag at its relaxed geometry at the GGA-PBE level of DFT.

Computed properties:
VASP energy, eV per atom: -4.035
Formation energy, kJ/mol of atoms: 24
Total moment, μB per cell: 0.00
D(E_F), states/eV/atom: 0.75

CIF file:
```
data_InNi2Ag
_cell_length_a 2.9314
_cell_length_b 2.9314
_cell_length_c 25.0836
_cell_angle_alpha 90.00
_cell_angle_beta 90.00
_cell_angle_gamma 120.00
_space_group_name_H-M_alt 'R -3 m'
_space_group_IT_number 166
_space_group_name_Hall '-R 3 2"'
loop_
_atom_site_label
_atom_site_fract_x
_atom_site_fract_y
_atom_site_fract_z
_atom_site_occupancy
In1 0.0000 0.0000 0.0000 1
Ni1 0.0000 0.0000 0.2512 1
Ag1 0.0000 0.0000 0.5000 1
```

***

Computed, not measured: crystalline InNiAg2 at its relaxed geometry at the GGA-PBE level of DFT.

Computed properties:
VASP energy, eV per atom: -3.502
Formation energy, kJ/mol of atoms: 5
Total moment, μB per cell: 0.00
D(E_F), states/eV/atom: 0.40

CIF file:
```
data_InNiAg2
_cell_length_a 3.060
_cell_length_b 3.115
_cell_length_c 7.178
_cell_angle_alpha 90.00
_cell_angle_beta 90.24
_cell_angle_gamma 90.00
_space_group_name_H-M_alt 'P 1 m 1'
_space_group_IT_number 6
_space_group_name_Hall 'P -2y'
loop_
_atom_site_label
_atom_site_fract_x
_atom_site_fract_y
_atom_site_fract_z
_atom_site_occupancy
In1 0.000 0.000 0.000 1
Ni1 0.499 0.500 0.786 1
Ag1 0.498 0.500 0.292 1
Ag2 0.999 0.000 0.559 1
```

***

Computed, not measured: crystalline InNi2Ag2 at its relaxed geometry at the GGA-PBE level of DFT.

Computed properties:
VASP energy, eV per atom: -3.692
Formation energy, kJ/mol of atoms: 30
Total moment, μB per cell: 0.00
D(E_F), states/eV/atom: 0.55

CIF file:
```
data_InNi2Ag2
_cell_length_a 3.786
_cell_length_b 3.786
_cell_length_c 12.012
_cell_angle_alpha 90.00
_cell_angle_beta 90.00
_cell_angle_gamma 90.00
_space_group_name_H-M_alt 'I 4/m m m'
_space_group_IT_number 139
_space_group_name_Hall '-I 4 2'
loop_
_atom_site_label
_atom_site_fract_x
_atom_site_fract_y
_atom_site_fract_z
_atom_site_occupancy
In1 0.000 0.000 0.000 1
Ni1 0.000 0.000 0.405 1
Ag1 0.000 0.500 0.250 1
```

***

Computed, not measured: crystalline InNiAg2 at its relaxed geometry at the GGA-PBE level of DFT.

Computed properties:
VASP energy, eV per atom: -3.431
Formation energy, kJ/mol of atoms: 12
Total moment, μB per cell: 0.00
D(E_F), states/eV/atom: 0.55

CIF file:
```
data_InNiAg2
_cell_length_a 2.968
_cell_length_b 4.877
_cell_length_c 4.806
_cell_angle_alpha 90.00
_cell_angle_beta 92.86
_cell_angle_gamma 90.00
_space_group_name_H-M_alt 'P 1 2/m 1'
_space_group_IT_number 10
_space_group_name_Hall '-P 2y'
loop_
_atom_site_label
_atom_site_fract_x
_atom_site_fract_y
_atom_site_fract_z
_atom_site_occupancy
In1 0.000 0.000 0.000 1
Ni1 0.500 0.000 0.500 1
Ag1 0.260 0.500 0.742 1
```

***

Computed, not measured: crystalline InNi2Ag2 at its relaxed geometry at the GGA-PBE level of DFT.

Computed properties:
VASP energy, eV per atom: -3.873
Formation energy, kJ/mol of atoms: 12
Total moment, μB per cell: 0.00
D(E_F), states/eV/atom: 0.49

CIF file:
```
data_InNi2Ag2
_cell_length_a 6.471
_cell_length_b 6.471
_cell_length_c 3.933
_cell_angle_alpha 90.00
_cell_angle_beta 90.00
_cell_angle_gamma 90.00
_space_group_name_H-M_alt 'P 4/m b m'
_space_group_IT_number 127